What to do:
Next, quote the entries underneath from the line with "0.0000], [7.8890," to the end without additions.
Listing:
# 1
{"formula": "Pm5Pd5Au2", "functional": "PBE", "state": "optimized geometry", "lattice": [[7.8890, -2.0920, 0.0000], [7.8890, 2.0920, 0.0000], [-6.9358, 0.0000, 8.5658]], "species": ["Pm", "Pm", "Pm", "Pm", "Pm", "Pd", "Pd", "Pd", "Pd", "Pd", "Au", "Au"], "fractional_positions": [[0.0000, 0.0000, 0.0000], [0.0960, 0.0960, 0.4180], [0.2064, 0.2064, 0.8305], [0.7936, 0.7936, 0.1695], [0.9040, 0.9040, 0.5820], [0.2771, 0.2771, 0.3403], [0.4229, 0.4229, 0.1539], [0.5000, 0.5000, 0.5000], [0.5771, 0.5771, 0.8461], [0.7229, 0.7229, 0.6597], [0.3627, 0.3627, 0.7417], [0.6373, 0.6373, 0.2583]], "crystal_system": "monoclinic", "dft_energy_ev_per_cell": -65.58, "mass_density_g_cm3": 9.70, "formation_enthalpy_0k_kj_per_mol_atoms": -74.8}


# 2
{"formula": "Er2SbPd8", "functional": "PBE", "state": "optimized geometry", "lattice": [[7.7702, -2.3578, 0.0000], [7.7702, 2.3578, 0.0000], [-2.2434, 0.0000, 5.4691]], "species": ["Er", "Er", "Sb", "Pd", "Pd", "Pd", "Pd", "Pd", "Pd", "Pd", "Pd"], "fractional_positions": [[0.1878, 0.1878, 0.1877], [0.8122, 0.8122, 0.8123], [0.5000, 0.5000, 0.5000], [0.0001, 0.0001, 0.2492], [0.9999, 0.9999, 0.7508], [0.1834, 0.1834, 0.6837], [0.3589, 0.3589, 0.0976], [0.3585, 0.3585, 0.6191], [0.6415, 0.6415, 0.3809], [0.6411, 0.6411, 0.9024], [0.8166, 0.8166, 0.3163]], "crystal_system": "monoclinic", "dft_energy_ev_per_cell": -62.29, "mass_density_g_cm3": 10.84, "formation_energy_uncorrected_ev_per_atom": -0.68}


# 3
{"formula": "CdInW", "functional": "PBE", "state": "optimized geometry", "lattice": [[2.5130, -1.6245, 0.0000], [2.5130, 1.6245, 0.0000], [-0.5614, 0.0000, 15.2543]], "species": ["Cd", "Cd", "In", "In", "W", "W"], "fractional_positions": [[0.1663, 0.1663, 0.0875], [0.8337, 0.8337, 0.9125], [0.3930, 0.3930, 0.2737], [0.6070, 0.6070, 0.7263], [0.2584, 0.2584, 0.5648], [0.7416, 0.7416, 0.4352]], "crystal_system": "monoclinic", "dft_energy_ev_per_cell": -31.67, "mass_density_g_cm3": 10.96, "formation_enthalpy_0k_kj_per_mol_atoms": 24.8}


# 4
{"formula": "ScCdTe2", "functional": "PBE", "state": "optimized geometry", "lattice": [[2.0818, 1.2019, 7.5856], [-2.0818, 1.2019, 7.5856], [0.0000, -2.4038, 7.5856]], "species": ["Sc", "Cd", "Te", "Te"], "fractional_positions": [[0.0000, 0.0000, 0.0000], [0.5000, 0.5000, 0.5000], [0.2576, 0.2576, 0.2576], [0.7424, 0.7424, 0.7424]], "crystal_system": "trigonal", "dft_energy_ev_per_cell": -16.51, "mass_density_g_cm3": 6.02, "formation_energy_uncorrected_ev_per_atom": -0.75}


# 5
{"formula": "Nb2VSe5", "functional": "PBE", "state": "optimized geometry", "lattice": [[0.0000, 6.7204, 6.8316], [2.3034, 0.0000, 6.8316], [2.3034, 6.7204, 0.0000]], "species": ["Nb", "Nb", "V", "Se", "Se", "Se", "Se", "Se"], "fractional_positions": [[0.1886, 0.1886, 0.8114], [0.8114, 0.8114, 0.1886], [0.5000, 0.5000, 0.5000], [0.0000, 0.0000, 0.0000], [0.2203, 0.4611, 0.5389], [0.4611, 0.2203, 0.7797], [0.5389, 0.7797, 0.2203], [0.7797, 0.5389, 0.4611]], "crystal_system": "orthorhombic", "dft_energy_ev_per_cell": -51.47, "mass_density_g_cm3": 4.96, "formation_energy_uncorrected_ev_per_atom": -0.60}


# 6
{"formula": "LiPm2F8", "functional": "PBE", "state": "optimized geometry", "lattice": [[5.3585, -2.1153, 0.0000], [5.3585, 2.1153, 0.0000], [-2.9787, 0.0000, 6.2698]], "species": ["Li", "Pm", "Pm", "F", "F", "F", "F", "F", "F", "F", "F"], "fractional_positions": [[0.0000, 0.0000, 0.0000], [0.1980, 0.1980, 0.7025], [0.8020, 0.8020, 0.2975], [0.0226, 0.0226, 0.3377], [0.2012, 0.2012, 0.0540], [0.3083, 0.3083, 0.4524], [0.4456, 0.4456, 0.8478], [0.5544, 0.5544, 0.1522], [0.6917, 0.6917, 0.5476], [0.7988, 0.7988, 0.9460], [0.9774, 0.9774, 0.6623]], "crystal_system": "monoclinic", "dft_energy_ev_per_cell": -63.97, "mass_density_g_cm3": 5.24, "formation_energy_uncorrected_ev_per_atom": -3.42}


# 7
Completed:
{"formula": "Pm5Pd5Au2", "functional": "PBE", "state": "optimized geometry", "lattice": [[7.8890, -2.0920, 0.0000], [7.8890, 2.0920, 0.0000], [-6.9358, 0.0000, 8.5658]], "species": ["Pm", "Pm", "Pm", "Pm", "Pm", "Pd", "Pd", "Pd", "Pd", "Pd", "Au", "Au"], "fractional_positions": [[0.0000, 0.0000, 0.0000], [0.0960, 0.0960, 0.4180], [0.2064, 0.2064, 0.8305], [0.7936, 0.7936, 0.1695], [0.9040, 0.9040, 0.5820], [0.2771, 0.2771, 0.3403], [0.4229, 0.4229, 0.1539], [0.5000, 0.5000, 0.5000], [0.5771, 0.5771, 0.8461], [0.7229, 0.7229, 0.6597], [0.3627, 0.3627, 0.7417], [0.6373, 0.6373, 0.2583]], "crystal_system": "monoclinic", "dft_energy_ev_per_cell": -65.58, "mass_density_g_cm3": 9.70, "formation_enthalpy_0k_kj_per_mol_atoms": -74.8}


# 2
{"formula": "Er2SbPd8", "functional": "PBE", "state": "optimized geometry", "lattice": [[7.7702, -2.3578, 0.0000], [7.7702, 2.3578, 0.0000], [-2.2434, 0.0000, 5.4691]], "species": ["Er", "Er", "Sb", "Pd", "Pd", "Pd", "Pd", "Pd", "Pd", "Pd", "Pd"], "fractional_positions": [[0.1878, 0.1878, 0.1877], [0.8122, 0.8122, 0.8123], [0.5000, 0.5000, 0.5000], [0.0001, 0.0001, 0.2492], [0.9999, 0.9999, 0.7508], [0.1834, 0.1834, 0.6837], [0.3589, 0.3589, 0.0976], [0.3585, 0.3585, 0.6191], [0.6415, 0.6415, 0.3809], [0.6411, 0.6411, 0.9024], [0.8166, 0.8166, 0.3163]], "crystal_system": "monoclinic", "dft_energy_ev_per_cell": -62.29, "mass_density_g_cm3": 10.84, "formation_energy_uncorrected_ev_per_atom": -0.68}


# 3
{"formula": "CdInW", "functional": "PBE", "state": "optimized geometry", "lattice": [[2.5130, -1.6245, 0.0000], [2.5130, 1.6245, 0.0000], [-0.5614, 0.0000, 15.2543]], "species": ["Cd", "Cd", "In", "In", "W", "W"], "fractional_positions": [[0.1663, 0.1663, 0.0875], [0.8337, 0.8337, 0.9125], [0.3930, 0.3930, 0.2737], [0.6070, 0.6070, 0.7263], [0.2584, 0.2584, 0.5648], [0.7416, 0.7416, 0.4352]], "crystal_system": "monoclinic", "dft_energy_ev_per_cell": -31.67, "mass_density_g_cm3": 10.96, "formation_enthalpy_0k_kj_per_mol_atoms": 24.8}


# 4
{"formula": "ScCdTe2", "functional": "PBE", "state": "optimized geometry", "lattice": [[2.0818, 1.2019, 7.5856], [-2.0818, 1.2019, 7.5856], [0.0000, -2.4038, 7.5856]], "species": ["Sc", "Cd", "Te", "Te"], "fractional_positions": [[0.0000, 0.0000, 0.0000], [0.5000, 0.5000, 0.5000], [0.2576, 0.2576, 0.2576], [0.7424, 0.7424, 0.7424]], "crystal_system": "trigonal", "dft_energy_ev_per_cell": -16.51, "mass_density_g_cm3": 6.02, "formation_energy_uncorrected_ev_per_atom": -0.75}


# 5
{"formula": "Nb2VSe5", "functional": "PBE", "state": "optimized geometry", "lattice": [[0.0000, 6.7204, 6.8316], [2.3034, 0.0000, 6.8316], [2.3034, 6.7204, 0.0000]], "species": ["Nb", "Nb", "V", "Se", "Se", "Se", "Se", "Se"], "fractional_positions": [[0.1886, 0.1886, 0.8114], [0.8114, 0.8114, 0.1886], [0.5000, 0.5000, 0.5000], [0.0000, 0.0000, 0.0000], [0.2203, 0.4611, 0.5389], [0.4611, 0.2203, 0.7797], [0.5389, 0.7797, 0.2203], [0.7797, 0.5389, 0.4611]], "crystal_system": "orthorhombic", "dft_energy_ev_per_cell": -51.47, "mass_density_g_cm3": 4.96, "formation_energy_uncorrected_ev_per_atom": -0.60}


# 6
{"formula": "LiPm2F8", "functional": "PBE", "state": "optimized geometry", "lattice": [[5.3585, -2.1153, 0.0000], [5.3585, 2.1153, 0.0000], [-2.9787, 0.0000, 6.2698]], "species": ["Li", "Pm", "Pm", "F", "F", "F", "F", "F", "F", "F", "F"], "fractional_positions": [[0.0000, 0.0000, 0.0000], [0.1980, 0.1980, 0.7025], [0.8020, 0.8020, 0.2975], [0.0226, 0.0226, 0.3377], [0.2012, 0.2012, 0.0540], [0.3083, 0.3083, 0.4524], [0.4456, 0.4456, 0.8478], [0.5544, 0.5544, 0.1522], [0.6917, 0.6917, 0.5476], [0.7988, 0.7988, 0.9460], [0.9774, 0.9774, 0.6623]], "crystal_system": "monoclinic", "dft_energy_ev_per_cell": -63.97, "mass_density_g_cm3": 5.24, "formation_energy_uncorrected_ev_per_atom": -3.42}


# 7